Read Lord Montagu's Page: An Historical Romance Page 10


  The old syndic did not seem to know much more of his visitor than EdwardLangdale; but he called him Master Jean Baptiste, and asked him whatnews from Niort.

  "Nothing very good, monsieur," answered the stranger: "half a leaguemore of the Papist lines is finished, and it is hard to get through. Itwas all done so quick and so quietly, no one knew any thing of it tillthe day before yesterday, when some troops and a large supply of flourwere sent down to Ferriac."

  "And where is the king himself?" demanded Clement Tournon, somewhatanxiously.

  "He is still at Nantes," replied the visitor. "But I want some talk withyou, Mr. Syndic, when I can have it alone; and it must be to-night,too, for I have to go on by to-morrow at daybreak, if I can get a boat."

  The old man at once raised a candlestick from the table and led thestranger into another room, while Lucette and Edward remained together.

  Now, the most natural thing in the world for a young lad between sixteenand seventeen, and a young girl a year or two younger, when so thrownupon their own resources, would have been to make love, or, at least, tofall into it; and there was also a strong incentive in the gratitudeEdward felt for all Lucette's kind nursing and all the interest whichLucette had taken in his illness and recovery. But the truth must betold. They did not make love in any of the many ways in which thatarticle is prepared in any of the kingdoms of the earth. Moreover, theydid not fall in love in the least. I am sorry for it; for of all thesweet and charming things which this world produces, that which isscornfully called calf's love is the sweetest and most charming. If ithas really any thing to do with a calf at all, it is the sweetbread. Oh,that early love! that early love! how pure, and tender, and soft, andtimid, and bright, and fragrant, it is! It is the opening of therose-bud of life, which may in after-times display warmer colors, giveforth more intense odor, but loses in delicacy and grace with everypetal that unfolds. But, as I have said, the truth must be told. Theyneither talked of love nor thought of love, although Lucette was verybeautiful and believed Edward Langdale to be very handsome. She merelymade him describe to her the scenes in which his youth had been spent.She talked to him of his mother, too; and he told her how sweetly thatmother had sung, and said to her that Lady Langdale's voice was verylike her own; and then he besought her to sing to him again; and shesang to please him; and they fell into thought, and spoke of a thousandthings more, in which the reader would take no manner of interest, butwhich interested them so much that, when Clement Tournon returned, theyfancied he had been gone but a few minutes; and he had been absent anhour and a half.

  His visitor did not come back with him, for he had taken some supperand retired to rest; but the good old syndic's brow was gloomy, and thenews he had received, whatever it was, did not seem to have been veryfavorable.

  "To bed, to bed, Lucette!" said the old man: "we must not keep MasterNed up late o' night. He will soon have to go travelling again; and hemust gather strength."

  Lucette did not receive the intelligence that Ned must soon depart verysadly, though she would have very well liked him to stay. She laughedand kissed the old man, and ran away; but the syndic silently took holdof the youth's hand and prevented him from retiring till the bright girlwas gone. "Stay a minute," he said, at length. "I have something tospeak to you about. How do you feel your strength and health to-night?"

  "Oh, much improved," replied Master Ned. "I shall be as strong as everin a couple of days."

  "That is well! that is well!" said Clement Tournon. "And whither do youturn your steps when you leave Rochelle?"

  "I have to traverse the whole of France, and even to approach close toParis," answered Master Ned; "for the end of my journey, as far as I yetknow, is to be at Dammartin. First, however, I must go to Mauze, where,I hear, the Duc de Rohan and Monsieur de Soubise are to be found. I haveletters for each."

  The reply seemed to puzzle the old man a little, for he shook his head,saying, "It will not do."

  "Have they left Mauze?" asked Edward. "This illness has been veryunfortunate."

  "If you do not find them there, you will hear of them," answered thesyndic. "What I mean is, you cannot get straight to Mauze. Things havechanged since you arrived, my son. The Papist troops are between us andMauze; and you will have to make a long deviation from your way and comeupon the castle from the north."

  "So be it!" said Master Ned. "If we can but have a fair wind, we can getto Marans, and, running up the Sevres, reach Mauze from the north. It isnot much longer, if I recollect right. I would embark to-morrowmorning, but I have still some preparations to make."

  "You seem to know the country well, my son," said the old man, "and yourscheme is a good one. But what preparations can you have to make?--not,indeed, that I would have you go too soon, lest your health shouldsuffer. I should think as soon as you feel strong enough you will be allready."

  "Not quite, Monsieur Tournon," answered the lad. "I must follow myorders, and those I have are very reasonable commands. I have, as I justsaid, to cross three-quarters of France, which I could not do as anEnglishman, since these last troubles, without a safe-conduct. One hasbeen procured for me, however, from young Sir Peter Apsley, who obtainedit in order to go to Geneva to study. He has changed his mind since, andI am to represent him; but, as there are mentioned in the paper a pageand two servants, I must engage such followers of the most trustycharacter I can find. I have already got Pierrot la Grange, who is anadept at masquerading, and I did think of bribing Jargeau to accompanyme; but I had some suspicions of him before I landed, and soon foundthat he is treacherous. I must therefore look for a man and a boy hereto-morrow; and you must help me, my good father, for it is of muchconsequence that they should be trusty."

  "They will soon be found," answered the syndic; "but I fear me you willbe soon discovered, my son. This cardinal has eyes in every quarter, andalmost, I might say, in every house. As to the page, I may have to thinka little," and then he added, musingly: "Did pages wear long tunics, asin my young days, Lucette might do; but I doubt whether she would put onboys' clothes as they are worn now."

  "Lucette!" exclaimed Edward Langdale, in a tone of unfeignedastonishment. "That would never do. She could not ride half throughFrance at the pace I should have to go; and besides----But tell me, inthe name of Heaven, could you part with her so easily and on such ajourney?"

  The old syndic smiled faintly, saying, "I could and must part with herwhenever it is for her good, my son; but I did not propose she should gowith you farther than Mauze, where you would have to find another page.There she must go before Saturday, as I will explain. Listen; for it isfit you should know all that is going on here, that you may tell it tothose whom you are about to see. I will make it all clear to you, andthen I will go and consult my pillow till to-morrow morning. The kingand the cardinal are determined to crush out Rochelle. We have stood asiege here before, and may perhaps do so now,--though I do not think it,for Richelieu is not following the rash measures of those who wentbefore him. He has been hovering over this devoted city like an eagleover a hare half hidden in the brushwood, and now he is ready to swoop.They say that he and King Louis have been stayed at Nantes by sometroubles in the court; but nothing is neglected: day by day the troopsare gathering round, and we are now wellnigh hemmed in by land. The seais still open to us; but I have learned from a sure hand this night thatthe cardinal has gathered together a navy of small armed vessels in allthe neighboring ports,--Rochefort, Marennes, Royan, Bourgneuf,Painboeuf, and others. They will soon be off our harbor,--on Mondaynext, they say; and though, thank Heaven, we have ships and good ones,yet in point of numbers we are nothing. The foolish men of what theycall the French party refused, as you know, to give entrance to the Earlof Denbigh's fleet, which would have kept the sea open to us and insuredus against blockade forever. But, as things stand now, I cannot expose agirl like Lucette to the horrors of a siege with probably no escape.Indeed, every useless mouth we can remove from Rochelle the better forus; and, besides, tho
se who have a right have required me to send herout of the city without loss of time."

  "Had you not better go with her yourself?" asked Master Ned.

  "I will not run away from my post," answered the syndic. "I once couldhave struck a good blow in defence of my native city; and, though thatis past, I can still aid her with counsel. Besides, where could I go?Nowhere but to England. I may send what gold I have got to that country,if I can find means; but my fate is with Rochelle, and Lucette's mustlie far away. God help us! we are at a dangerous pass, my son; and thehunter's toils are tighter round us than some of our senseless citizenswill believe. As to Jargeau, you cannot trust him. Of Pierrot I havedoubts,--not of his honesty, for he is truthful and sturdy when he issober, nor of his ability, for he is a thing we often see in thisstrange world, _a clever fool_,--shrewd enough in every thing thatimports but little, but weak as water in matters on which his ownfortunes and his soul's salvation rest. I doubt his power to abstainfrom a vice which has ruled him for ten long years. True, he has beensober ever since he has been here, and he promises sturdily; but, alas!my son, I have seen so many a drunkard fall away from all goodresolutions with the first moment of a strong temptation that I wish youhad a better follower."

  "I will keep him sober," answered Master Ned, boldly. "He knows I am notto be trifled with. I think he has every inclination to reform but onlywants the strength of mind. I will give him the strength. Many a man isfeeble in some point till he has support, just as a pea trails upon theground till we plant a strong pole by it. I will be his pea-stick,Monsieur Tournon. But as to another man and the page. If MademoiselleLucette only goes to Mauze, and you will trust her with me, I will seeher safe there if I get there myself, upon my honor; but I know not whyshe should have to change her dress, for the distance is so small fromMaran's that----"

********
(1)
# Rb2Ni3Se4 | Materials Project | r²SCAN | optimized geometry
# raw total energy = -14.20 eV per atom
data_Rb2Ni3Se4
_chemical_formula_sum 'Rb16 Ni24 Se32'
_cell_length_a 6.064
_cell_length_b 10.566
_cell_length_c 27.886
_cell_angle_alpha 90.00
_cell_angle_beta 90.00
_cell_angle_gamma 90.00
_symmetry_space_group_name_H-M 'F d d d'
_symmetry_Int_Tables_number 70
loop_
_symmetry_equiv_pos_as_xyz
'x,y,z'
'-x,-y,-z'
'-x+1/4,-y+1/4,z'
'x+1/4,y+1/4,-z'
'x,-y+1/4,-z+1/4'
'-x,y+1/4,z+1/4'
'-x+1/4,y,-z+1/4'
'x+1/4,-y,z+1/4'
'x,y+1/2,z+1/2'
'-x,-y+1/2,-z+1/2'
'-x+1/4,-y+3/4,z+1/2'
'x+1/4,y+3/4,-z+1/2'
'x,-y+3/4,-z+3/4'
'-x,y+3/4,z+3/4'
'-x+1/4,y+1/2,-z+3/4'
'x+1/4,-y+1/2,z+3/4'
'x+1/2,y,z+1/2'
'-x+1/2,-y,-z+1/2'
'-x+3/4,-y+1/4,z+1/2'
'x+3/4,y+1/4,-z+1/2'
'x+1/2,-y+1/4,-z+3/4'
'-x+1/2,y+1/4,z+3/4'
'-x+3/4,y,-z+3/4'
'x+3/4,-y,z+3/4'
'x+1/2,y+1/2,z'
'-x+1/2,-y+1/2,-z'
'-x+3/4,-y+3/4,z'
'x+3/4,y+3/4,-z'
'x+1/2,-y+3/4,-z+1/4'
'-x+1/2,y+3/4,z+1/4'
'-x+3/4,y+1/2,-z+1/4'
'x+3/4,-y+1/2,z+1/4'
loop_
_atom_site_label
_atom_site_type_symbol
_atom_site_fract_x
_atom_site_fract_y
_atom_site_fract_z
Rb1 Rb 0.125 0.125 0.048
Ni1 Ni 0.125 0.125 0.375
Ni2 Ni 0.125 0.125 0.625
Se1 Se 0.123 0.291 0.570

(2)
# Ti2ReNi | Materials Project | r²SCAN | optimized geometry
# raw total energy = -23.02 eV per atom
data_Ti2ReNi
_chemical_formula_sum 'Ti8 Re4 Ni4'
_cell_length_a 6.112
_cell_length_b 6.112
_cell_length_c 6.112
_cell_angle_alpha 90.00
_cell_angle_beta 90.00
_cell_angle_gamma 90.00
_symmetry_space_group_name_H-M 'F m -3 m'
_symmetry_Int_Tables_number 225
_symmetry_space_group_name_Hall '-F 4 2 3'
loop_
_atom_site_label
_atom_site_type_symbol
_atom_site_fract_x
_atom_site_fract_y
_atom_site_fract_z
Ti1 Ti 0.250 0.250 0.250
Re1 Re 0.000 0.000 0.000
Ni1 Ni 0.000 0.000 0.500

(3)
# NiRh | Materials Project | r²SCAN | optimized geometry
# raw total energy = -17.97 eV per atom
data_NiRh
_chemical_formula_sum 'Ni3 Rh3'
_cell_length_a 2.6283
_cell_length_b 2.6283
_cell_length_c 12.3351
_cell_angle_alpha 90.00
_cell_angle_beta 90.00
_cell_angle_gamma 120.00
_symmetry_space_group_name_H-M 'R -3 m'
_symmetry_Int_Tables_number 166
_symmetry_space_group_name_Hall '-R 3 2"'
loop_
_atom_site_label
_atom_site_type_symbol
_atom_site_fract_x
_atom_site_fract_y
_atom_site_fract_z
Ni1 Ni 0.0000 0.0000 0.0000
Rh1 Rh 0.0000 0.0000 0.5000

(4)
# Tm2NiRu | Materials Project | r²SCAN | optimized geometry
# raw total energy = -27.40 eV per atom
data_Tm2NiRu
_chemical_formula_sum 'Tm8 Ni4 Ru4'
_cell_length_a 6.633
_cell_length_b 6.633
_cell_length_c 6.633
_cell_angle_alpha 90.00
_cell_angle_beta 90.00
_cell_angle_gamma 90.00
_symmetry_space_group_name_H-M 'F m -3 m'
_symmetry_Int_Tables_number 225
_symmetry_space_group_name_Hall '-F 4 2 3'
loop_
_atom_site_label
_atom_site_type_symbol
_atom_site_fract_x
_atom_site_fract_y
_atom_site_fract_z
Tm1 Tm 0.250 0.250 0.250
Ni1 Ni 0.000 0.000 0.000
Ru1 Ru 0.000 0.000 0.500

(5)
# Y2NiRu3 | Materials Project | r²SCAN | optimized geometry
********

  "You may be stopped and have to show your safe-conduct," answered thesyndic. "You know not how rapidly this cardinal is drawing the netaround us. But surely we can equip her so that she shall remainconcealed and yet not shock her modesty."

  "Oh, yes," replied Master Ned: "'tis still the mode with us to wear aloose, long, hanging coat over the justaucorps in cool weather; and thisis cool enough. I have one in my bags, and they are so freely fittedthat it matters not whether it be somewhat large or not. But what I fearis her long, beautiful, amber hair. No boy's head ever bore such aprofusion,--though it is the custom now to wear it very long behind."

  "We must have it cut," said the syndic, with as little reverence forlove-locks as any Puritanical preacher of the coming epoch: "a woman maywell yield her hair to save her liberty and her religion,--nay, perhapsher life. But we will talk more to-morrow, my son, and we had betterboth seek rest now and rise by dawn to-morrow."

  The results of this conversation may easily be divined by the reader,whose business it is, in a novel as well as in a tragedy, to supply fromhis own wit or imagination all the little facts and circumstances whichit may please an author to omit. Yes, dear reader, always recollect thatyou have your responsibilities as well as your privileges, your dutiesas well as your powers, and then if you and I do not understand eachother it is not your fault.

  The following evening, about seven o'clock, there assembled in thelittle saloon, the syndic, Edward Langdale, a strong, supple-lookingman, of whom more hereafter, Pierrot la Grange, and a beautiful boy,apparently some two years younger, and much shorter, than Master Ned. Heentered the last, dressed in one of the broad-brimmed hats of the day, ahandsome doublet, and a loose black velvet coat with hanging sleeves. Itdescended nearly to the knees, and almost met a pair of largeriding-boots, which, together with the hat and feather, and a smallgold-hilted dagger on the left hip, gave the wearer a sort of cavalierlook which accorded well with the character assumed,--yes, assumed; fora warm mantling blush that spread over Lucette's fair face, and the shyimpulse with which she threw herself into the old man's arms, would havebetrayed her sex to any one who was not in the secret. Every thing,however, was now hurry, for a good-sized fishing-boat had been engagedfor a somewhat earlier hour; and, with a few words of admonition toLucette from the syndic, and some directions to the men, the whole partyset out for the port. Marton gave them egress, kissing Lucette tenderlyas she passed the door; and in ten minutes Clement Tournon held theyoung girl in his arms by the side of the boat, taking one last embrace.He wept not, it is true; but he heaved a heavy sigh. Edward Langdalelifted her into the little bark, and, as the boat pushed off, he feltthat tears had fallen upon his bosom.